File:
First-principles (GGA-PBE) data for a relaxed BaSr2Ac crystal, as listed in the Alexandria database.

abc: 7.2460 4.1840 14.0629
angles: 90.00 99.88 90.00
With the nearest neighbours (Å) after each atom.
Positions (direct):
Ba1 0.0000 0.0000 0.0000  6 Ba 4.18, 6 Sr 4.35-4.37
Ba2 0.5000 0.5000 0.0000  6 Ba 4.18, 6 Sr 4.35-4.37
Sr1 0.0786 0.5000 0.7375  3 Ac 4.09, 6 Sr 4.18, 3 Ba 4.36-4.37
Sr2 0.4212 0.0000 0.2612  3 Ac 4.08-4.09, 6 Sr 4.18, 3 Ba 4.35
Sr3 0.5786 0.0000 0.7375  3 Ac 4.09, 6 Sr 4.18, 3 Ba 4.36-4.37
Sr4 0.9212 0.5000 0.2612  3 Ac 4.08-4.09, 6 Sr 4.18, 3 Ba 4.35
Ac1 0.1665 0.0000 0.4991  6 Sr 4.08-4.09, 6 Ac 4.18
Ac2 0.6665 0.5000 0.4991  6 Sr 4.08-4.09, 6 Ac 4.18

E_form	47	meV per atom
excess energy over the best structure of this formula in the dataset	0	meV per atom


First-principles (GGA-PBE) data for a relaxed MnIn5 crystal, as listed in the Alexandria database.

abc: 12.1393 3.1321 9.1391
angles: 90.00 122.37 90.00
With the nearest neighbours (Å) after each atom.
Positions (direct):
Mn1 0.0000 0.0000 0.0000  8 In 2.87-2.96, 2 Mn 3.13
Mn2 0.5000 0.5000 0.0000  8 In 2.87-2.96, 2 Mn 3.13
In1 0.0000 0.0000 0.5000  8 In 3.13-3.22
In2 0.1225 0.5000 0.8627  2 Mn 2.87, 4 In 3.13-3.16
In3 0.1957 0.5000 0.3050  2 Mn 2.96, 4 In 3.13-3.31
In4 0.3043 0.0000 0.6950  2 Mn 2.96, 4 In 3.13-3.31
In5 0.3775 0.0000 0.1373  2 Mn 2.87, 4 In 3.13-3.16
In6 0.5000 0.5000 0.5000  8 In 3.13-3.22
In7 0.6225 0.0000 0.8627  2 Mn 2.87, 4 In 3.13-3.16
In8 0.6957 0.0000 0.3050  2 Mn 2.96, 4 In 3.13-3.31
In9 0.8043 0.5000 0.6950  2 Mn 2.96, 4 In 3.13-3.31
In10 0.8775 0.5000 0.1373  2 Mn 2.87, 4 In 3.13-3.16

E_form	146	meV per atom


First-principles (GGA-PBE) data for a relaxed InRe7 crystal, as listed in the Alexandria database.

abc: 5.6026 5.6026 5.6026
angles: 60.00 60.00 60.00
With the nearest neighbours (Å) after each atom.
Positions (direct):
In1 0.0000 0.0000 0.0000  12 Re 2.80
Re1 0.0000 0.0000 0.5000  10 Re 2.80, 2 In 2.80
Re2 0.0000 0.5000 0.0000  10 Re 2.80, 2 In 2.80
Re3 0.0000 0.5000 0.5000  10 Re 2.80, 2 In 2.80
Re4 0.5000 0.0000 0.0000  10 Re 2.80, 2 In 2.80
Re5 0.5000 0.0000 0.5000  10 Re 2.80, 2 In 2.80
Re6 0.5000 0.5000 0.0000  10 Re 2.80, 2 In 2.80
Re7 0.5000 0.5000 0.5000  12 Re 2.80

E_form	428	meV per atom


First-principles (GGA-PBE) data for a relaxed La2MgGePd6 crystal, as listed in the Alexandria database.

abc: 6.5529 6.5529 8.5631
angles: 128.24 128.24 50.62
With the nearest neighbours (Å) after each atom.
Positions (direct):
La1 0.0222 0.0222 0.2718  7 Pd 3.01-3.24
La2 0.9778 0.9778 0.7282  7 Pd 3.01-3.24
Mg1 0.5000 0.5000 0.5000  6 Pd 2.62-2.64
Ge1 0.5000 0.5000 0.0000  6 Pd 2.52
Pd1 0.0093 0.5096 0.7403  1 Ge 2.52, 1 Mg 2.64, 4 Pd 2.77-2.82
Pd2 0.3359 0.3359 0.0873  1 Ge 2.52, 1 Mg 2.62, 4 Pd 2.77-2.82
Pd3 0.4904 0.9907 0.2597  1 Ge 2.52, 1 Mg 2.64, 4 Pd 2.77-2.82
Pd4 0.5096 0.0093 0.7403  1 Ge 2.52, 1 Mg 2.64, 4 Pd 2.77-2.82
Pd5 0.6641 0.6641 0.9127  1 Ge 2.52, 1 Mg 2.62, 4 Pd 2.77-2.82
Pd6 0.9907 0.4904 0.2597  1 Ge 2.52, 1 Mg 2.64, 4 Pd 2.77-2.82

E_form	-662	meV per atom


First-principles (GGA-PBE) data for a relaxed CrSiAs crystal, as listed in the Alexandria database.

abc: 3.1091 3.1091 16.6139
angles: 90.00 90.00 120.00
With the nearest neighbours (Å) after each atom.
Positions (direct):
Cr1 0.0000 0.0000 0.0000  3 Si 2.39, 3 As 2.39
Cr2 0.3333 0.6667 0.6667  3 Si 2.39, 3 As 2.39
Cr3 0.6667 0.3333 0.3333  3 Si 2.39, 3 As 2.39
Si1 0.0000 0.0000 0.5718  1 As 2.38, 3 Cr 2.39
Si2 0.3333 0.6667 0.2385  1 As 2.38, 3 Cr 2.39
Si3 0.6667 0.3333 0.9051  1 As 2.38, 3 Cr 2.39
As1 0.0000 0.0000 0.4283  1 Si 2.38, 3 Cr 2.39
As2 0.3333 0.6667 0.0950  1 Si 2.38, 3 Cr 2.39
As3 0.6667 0.3333 0.7617  1 Si 2.38, 3 Cr 2.39

uncorrected formation energy	0.018	eV/atom


First-principles (GGA-PBE) data for a relaxed Zn2RuW crystal, as listed in the Alexandria database.

abc: 6.1082 6.1082 6.1082
angles: 90.00 90.00 90.00
With the nearest neighbours (Å) after each atom.
Positions (direct):
Activity:
Please say how many lines of the lines earlier on hold the word "In2", as a bare number.
Outcome:
1